/*
Formula: C50H54N5NiO2PSSb2
Source: the Open Molecules 2025 dataset
Level of theory: the ωB97M-V functional and the def2-TZVPD basis

Geometry (Å):
Ni -0.11 -0.46 -0.07
N 0.51 -4.35 7.09
C 0.48 -3.27 6.23
C -0.70 -2.93 5.57
C -0.74 -1.83 4.73
C 0.40 -1.06 4.54
C 1.58 -1.38 5.19
C 1.62 -2.48 6.03
S 0.36 0.27 3.40
O -1.01 0.69 3.30
O 1.37 1.21 3.79
N 0.72 -0.35 1.94
C 1.99 -0.51 1.55
N 2.08 -0.48 0.19
C 3.26 -0.69 -0.36
C 4.40 -0.91 0.40
C 4.20 -0.93 1.78
N 3.03 -0.75 2.36
H -0.22 -5.03 7.02
H 1.41 -4.72 7.35
H -1.59 -3.52 5.73
H -1.66 -1.56 4.22
H 2.46 -0.78 5.03
H 2.54 -2.73 6.55
H 3.30 -0.68 -1.45
H 5.36 -1.07 -0.06
H 5.04 -1.12 2.44
C -0.35 3.49 -1.53
C 0.72 3.36 -2.62
C 1.41 1.99 -2.72
Sb 0.07 0.31 -2.59
C -1.48 1.11 -3.81
C -2.72 1.48 -3.28
C -3.69 2.05 -4.09
C -3.43 2.27 -5.44
C -2.19 1.92 -5.97
C -1.22 1.35 -5.16
C 1.00 -0.87 -4.11
C 2.38 -0.90 -4.24
C 3.00 -1.74 -5.16
C 2.23 -2.56 -5.96
C 0.85 -2.54 -5.86
C 0.24 -1.70 -4.94
Sb 0.13 2.56 0.35
C 1.97 3.59 0.66
C 2.08 4.95 0.37
C 3.29 5.61 0.53
C 4.40 4.91 1.00
C 4.30 3.56 1.30
C 3.08 2.91 1.14
C -1.10 3.83 1.53
C -2.40 4.10 1.12
C -3.23 4.91 1.89
C -2.75 5.45 3.08
C -1.46 5.18 3.50
C -0.63 4.36 2.73
H -1.28 3.02 -1.86
H -0.59 4.54 -1.33
H 1.50 4.11 -2.45
H 0.27 3.60 -3.59
H 2.13 1.86 -1.90
H 1.95 1.90 -3.66
H -2.93 1.33 -2.23
H -4.65 2.32 -3.67
H -4.18 2.71 -6.07
H -1.98 2.10 -7.02
H -0.26 1.08 -5.59
H 3.00 -0.25 -3.63
H 4.08 -1.74 -5.24
H 2.71 -3.22 -6.68
H 0.25 -3.18 -6.49
H -0.85 -1.69 -4.87
H 1.22 5.51 0.02
H 3.37 6.66 0.30
H 5.35 5.42 1.13
H 5.15 3.02 1.68
H 3.00 1.86 1.40
H -2.79 3.68 0.20
H -4.24 5.12 1.57
H -3.39 6.08 3.68
H -1.09 5.59 4.43
H 0.37 4.14 3.07
C 0.27 -4.98 -2.09
C 0.22 -3.48 -1.83
P 0.01 -2.89 -0.10
C 1.42 -3.70 0.76
C 1.31 -3.77 2.29
C -1.45 -3.85 0.47
C -2.07 -3.35 1.77
H 0.33 -5.18 -3.16
H -0.62 -5.49 -1.71
H 1.14 -5.45 -1.63
H -0.61 -3.03 -2.39
H 1.12 -2.99 -2.22
H 2.32 -3.15 0.47
H 1.52 -4.71 0.36
H 1.08 -2.80 2.73
H 2.25 -4.12 2.72
H 0.53 -4.47 2.59
H -1.14 -4.89 0.56
H -2.18 -3.80 -0.34
H -1.41 -3.51 2.62
H -3.01 -3.88 1.97
H -2.30 -2.28 1.72
N -7.52 -0.13 -0.53
C -6.38 -0.18 -0.43
C -4.94 -0.24 -0.31
C -4.27 0.58 0.59
C -2.88 0.50 0.69
C -2.12 -0.36 -0.11
C -2.84 -1.16 -1.00
C -4.22 -1.13 -1.10
H -4.83 1.26 1.22
H -2.40 1.12 1.44
H -2.31 -1.84 -1.66
H -4.75 -1.77 -1.80

The calculation puts the LUMO energy (alpha / beta) at 0.4 / 0.3 eV. As for the HOMO-LUMO gap (alpha / beta): 7.69 / 8.22 eV. For the highest occupied orbital energy (alpha / beta), the calculation gives -7.33 / -7.94 eV. The expectation value of S² is 2.010. Its spin multiplicity is 3.


Formula: C11H12BN4OOsS6
Source: the Open Molecules 2025 dataset
Level of theory: the ωB97M-V functional and the def2-TZVPD basis

Geometry (Å):
Os 0.03 0.30 -0.32
O -3.04 2.11 -5.95
C -2.46 1.65 -5.03
S -0.72 1.89 -4.73
C -0.66 0.99 -3.25
C -1.83 0.38 -2.82
S -1.94 -0.55 -1.37
S -3.23 0.58 -3.81
S 0.84 0.89 -2.41
C 3.39 -1.52 0.09
N 3.23 -0.37 0.96
C 4.20 0.54 1.26
C 3.66 1.42 2.15
N 2.37 1.03 2.40
B 1.50 1.72 3.51
N -0.02 1.76 3.15
C -1.02 1.53 4.06
C -2.21 1.78 3.47
N -1.95 2.15 2.18
C -2.92 2.54 1.17
C -0.60 2.13 2.00
S 0.19 2.49 0.50
C 2.11 -0.05 1.66
S 0.63 -0.96 1.57
H 4.34 -1.44 -0.44
H 2.58 -1.56 -0.64
H 3.37 -2.44 0.66
H 5.19 0.51 0.83
H 4.09 2.28 2.62
H 1.60 1.08 4.51
H 1.89 2.85 3.62
H -0.80 1.21 5.06
H -3.21 1.72 3.85
H -3.92 2.43 1.59
H -2.83 1.90 0.29
H -2.77 3.58 0.87

The calculation puts the LUMO energy (alpha / beta) at -4.5 / -6.0 eV. As for the HOMO-LUMO gap (alpha / beta): 6.48 / 5.95 eV. For the highest occupied orbital energy (alpha / beta), the calculation gives -11.01 / -11.97 eV. The expectation value of S² is 6.026. Its spin multiplicity is 5. The total charge is +1. The value obtained for the relative energy (zero: lowest compared OMol25 entry of this formula, charge and spin) is 19.5 kJ/mol.


Formula: C4H5NOS
Source: the Open Molecules 2025 dataset
Level of theory: the ωB97M-V functional and the def2-TZVPD basis

Geometry (Å):
C 2.67 -0.62 -0.31
C -1.41 0.12 0.09
*/
Could you copy everything further above unchanged?
Formula: C50H54N5NiO2PSSb2
Source: the Open Molecules 2025 dataset
Level of theory: the ωB97M-V functional and the def2-TZVPD basis

Geometry (Å):
Ni -0.11 -0.46 -0.07
N 0.51 -4.35 7.09
C 0.48 -3.27 6.23
C -0.70 -2.93 5.57
C -0.74 -1.83 4.73
C 0.40 -1.06 4.54
C 1.58 -1.38 5.19
C 1.62 -2.48 6.03
S 0.36 0.27 3.40
O -1.01 0.69 3.30
O 1.37 1.21 3.79
N 0.72 -0.35 1.94
C 1.99 -0.51 1.55
N 2.08 -0.48 0.19
C 3.26 -0.69 -0.36
C 4.40 -0.91 0.40
C 4.20 -0.93 1.78
N 3.03 -0.75 2.36
H -0.22 -5.03 7.02
H 1.41 -4.72 7.35
H -1.59 -3.52 5.73
H -1.66 -1.56 4.22
H 2.46 -0.78 5.03
H 2.54 -2.73 6.55
H 3.30 -0.68 -1.45
H 5.36 -1.07 -0.06
H 5.04 -1.12 2.44
C -0.35 3.49 -1.53
C 0.72 3.36 -2.62
C 1.41 1.99 -2.72
Sb 0.07 0.31 -2.59
C -1.48 1.11 -3.81
C -2.72 1.48 -3.28
C -3.69 2.05 -4.09
C -3.43 2.27 -5.44
C -2.19 1.92 -5.97
C -1.22 1.35 -5.16
C 1.00 -0.87 -4.11
C 2.38 -0.90 -4.24
C 3.00 -1.74 -5.16
C 2.23 -2.56 -5.96
C 0.85 -2.54 -5.86
C 0.24 -1.70 -4.94
Sb 0.13 2.56 0.35
C 1.97 3.59 0.66
C 2.08 4.95 0.37
C 3.29 5.61 0.53
C 4.40 4.91 1.00
C 4.30 3.56 1.30
C 3.08 2.91 1.14
C -1.10 3.83 1.53
C -2.40 4.10 1.12
C -3.23 4.91 1.89
C -2.75 5.45 3.08
C -1.46 5.18 3.50
C -0.63 4.36 2.73
H -1.28 3.02 -1.86
H -0.59 4.54 -1.33
H 1.50 4.11 -2.45
H 0.27 3.60 -3.59
H 2.13 1.86 -1.90
H 1.95 1.90 -3.66
H -2.93 1.33 -2.23
H -4.65 2.32 -3.67
H -4.18 2.71 -6.07
H -1.98 2.10 -7.02
H -0.26 1.08 -5.59
H 3.00 -0.25 -3.63
H 4.08 -1.74 -5.24
H 2.71 -3.22 -6.68
H 0.25 -3.18 -6.49
H -0.85 -1.69 -4.87
H 1.22 5.51 0.02
H 3.37 6.66 0.30
H 5.35 5.42 1.13
H 5.15 3.02 1.68
H 3.00 1.86 1.40
H -2.79 3.68 0.20
H -4.24 5.12 1.57
H -3.39 6.08 3.68
H -1.09 5.59 4.43
H 0.37 4.14 3.07
C 0.27 -4.98 -2.09
C 0.22 -3.48 -1.83
P 0.01 -2.89 -0.10
C 1.42 -3.70 0.76
C 1.31 -3.77 2.29
C -1.45 -3.85 0.47
C -2.07 -3.35 1.77
H 0.33 -5.18 -3.16
H -0.62 -5.49 -1.71
H 1.14 -5.45 -1.63
H -0.61 -3.03 -2.39
H 1.12 -2.99 -2.22
H 2.32 -3.15 0.47
H 1.52 -4.71 0.36
H 1.08 -2.80 2.73
H 2.25 -4.12 2.72
H 0.53 -4.47 2.59
H -1.14 -4.89 0.56
H -2.18 -3.80 -0.34
H -1.41 -3.51 2.62
H -3.01 -3.88 1.97
H -2.30 -2.28 1.72
N -7.52 -0.13 -0.53
C -6.38 -0.18 -0.43
C -4.94 -0.24 -0.31
C -4.27 0.58 0.59
C -2.88 0.50 0.69
C -2.12 -0.36 -0.11
C -2.84 -1.16 -1.00
C -4.22 -1.13 -1.10
H -4.83 1.26 1.22
H -2.40 1.12 1.44
H -2.31 -1.84 -1.66
H -4.75 -1.77 -1.80

The calculation puts the LUMO energy (alpha / beta) at 0.4 / 0.3 eV. As for the HOMO-LUMO gap (alpha / beta): 7.69 / 8.22 eV. For the highest occupied orbital energy (alpha / beta), the calculation gives -7.33 / -7.94 eV. The expectation value of S² is 2.010. Its spin multiplicity is 3.


Formula: C11H12BN4OOsS6
Source: the Open Molecules 2025 dataset
Level of theory: the ωB97M-V functional and the def2-TZVPD basis

Geometry (Å):
Os 0.03 0.30 -0.32
O -3.04 2.11 -5.95
C -2.46 1.65 -5.03
S -0.72 1.89 -4.73
C -0.66 0.99 -3.25
C -1.83 0.38 -2.82
S -1.94 -0.55 -1.37
S -3.23 0.58 -3.81
S 0.84 0.89 -2.41
C 3.39 -1.52 0.09
N 3.23 -0.37 0.96
C 4.20 0.54 1.26
C 3.66 1.42 2.15
N 2.37 1.03 2.40
B 1.50 1.72 3.51
N -0.02 1.76 3.15
C -1.02 1.53 4.06
C -2.21 1.78 3.47
N -1.95 2.15 2.18
C -2.92 2.54 1.17
C -0.60 2.13 2.00
S 0.19 2.49 0.50
C 2.11 -0.05 1.66
S 0.63 -0.96 1.57
H 4.34 -1.44 -0.44
H 2.58 -1.56 -0.64
H 3.37 -2.44 0.66
H 5.19 0.51 0.83
H 4.09 2.28 2.62
H 1.60 1.08 4.51
H 1.89 2.85 3.62
H -0.80 1.21 5.06
H -3.21 1.72 3.85
H -3.92 2.43 1.59
H -2.83 1.90 0.29
H -2.77 3.58 0.87

The calculation puts the LUMO energy (alpha / beta) at -4.5 / -6.0 eV. As for the HOMO-LUMO gap (alpha / beta): 6.48 / 5.95 eV. For the highest occupied orbital energy (alpha / beta), the calculation gives -11.01 / -11.97 eV. The expectation value of S² is 6.026. Its spin multiplicity is 5. The total charge is +1. The value obtained for the relative energy (zero: lowest compared OMol25 entry of this formula, charge and spin) is 19.5 kJ/mol.


Formula: C4H5NOS
Source: the Open Molecules 2025 dataset
Level of theory: the ωB97M-V functional and the def2-TZVPD basis

Geometry (Å):
C 2.67 -0.62 -0.31
C -1.41 0.12 0.09